The Theosophical
Society in Australia

Launceston Lodge

The Adyar Bulletin

Sea PicturesGD Robertsony1920v13-Novemberp330
From my Scrap-BookFelixy1920v13-Novemberp334
TimL - England, Scotland, Australia, NZanony1920v13-Novemberp336
Canada - Letter to the Section fromBP Wadiay1920v13-Novemberp338
From the Editor - TS Convention & Allied Activities Programmeanony1920v13-Decemberp341
To Members of the Order of the Star in the EastJ Krishnamurtiy1920v13-Decemberp345
The Sacrament of WorkC Jinarajadasay1920v13-Decemberp346
The Mission of India in Politics (rprnt The LeaderBhagavan Dasy1920v13-Decemberp350
Between the Devil & the Deep SeaX.y1920v13-Decemberp353
A Modern Christian BhaktaAdelia H Taffindery1920v13-Decemberp355
The Mark (vf)Marsyasy1920v13-Decemberp359
Adyar is AdyarAugustus F Knudseny1920v13-Decemberp360
From my Scrap-BookFelixy1920v13-Decemberp362
TimL - England, Scotland, Holland, Ceylon, Chinaanony1920v13-Decemberp365
TimL - Canary Islands, America, CanadaGLKy1920v13-Decemberp367
From the Editoranony1921v14-Januaryp1
The Presidential Addressanony1921v14-Januaryp5
At the CentreEthelwyn M Ameryy1921v14-Januaryp15
Etheric Matter Used in Table LiftingSBy1921v14-Januaryp18
From my Scrap-bookFelixy1921v14-Januaryp24
A Relic of the Buddha?y1921v14-Januaryp27
From the Editoranony1921v14-Februaryp29
The Presidential Address, concludedanony1921v14-Februaryp33
Our Animal Helpers & TeachersC Jinarajadasay1921v14-Februaryp38
Lest we Forget (1) Occultism & Truthanony1921v14-Februaryp42
review - Letters from the Masters of Wisdom (ed by C Jinarajadasa)Lilly Hebery1921v14-Februaryp44
Dreaming BackwardsStephen Antonyy1921v14-Februaryp49
From my Scrap-BookFelixy1921v14-Februaryp52
TimL - America, Australia, Scotlandanony1921v14-Februaryp55
/*
## BaSb2 (PBE-GGA)

Data for a relaxed BaSb2 crystal.

Properties
Total DFT energy (no corrections) (eV for the cell shown): -23.08
Formation energy from the elements (eV/atom): -0.58

Unit cell a=5.7276 b=10.3505 c=3.6077 alpha=90.00 beta=90.00 gamma=90.00
Last column: nearest neighbours and their distance in Å.
Space group Cmmm (No. 65)
One atom of each set of equivalent atoms:
1 Ba 0.0000 0.0000 0.0000 x2  12 Sb 3.59-3.97, 2 Ba 3.61
2 Sb 0.0000 0.3000 0.5000 x4  2 Sb 3.04

## CeY (PBE-GGA)

Data for a relaxed CeY crystal.

Properties
Total DFT energy (no corrections) (eV for the cell shown): -12.18
Formation energy from the elements (eV/atom): 0.11

Unit cell a=3.5181 b=3.5181 c=5.7815 alpha=90.00 beta=90.00 gamma=120.00
Last column: nearest neighbours and their distance in Å.
Space group P-6m2 (No. 187)
One atom of each set of equivalent atoms:
1 Ce 0.0000 0.0000 0.0000 x1  6 Ce 3.52, 6 Y 3.53
2 Y 0.3333 0.6667 0.5000 x1  6 Y 3.52, 6 Ce 3.53

## LiCuPO4 (PBE-GGA)

Data for a relaxed LiCuPO4 crystal.

Properties
Total DFT energy (no corrections) (eV for the cell shown): -87.18
E above lowest polymorph (meV per atom): 36.0
Formation energy from the elements (eV/atom): -2.16

Unit cell a=5.0478 b=5.3674 c=7.8878 alpha=90.00 beta=129.12 gamma=90.00
Last column: nearest neighbours and their distance in Å.
Space group Pc (No. 7)
One atom of each set of equivalent atoms:
1 Li 0.0000 0.1644 0.0000 x2  4 O 1.93-1.99
2 Cu 0.7426 0.3179 0.2541 x2  4 O 1.94-2.08
3 P 0.2571 0.3496 0.7529 x2  4 O 1.54-1.56
4 O 0.1306 0.3826 0.2360 x2  1 P 1.54
5 O 0.3469 0.2159 0.9590 x2  1 P 1.56
6 O 0.5804 0.3550 0.7697 x2  1 P 1.55
7 O 0.9778 0.1912 0.5484 x2  1 P 1.56

## Sm2IrRu (PBE-GGA)

Data for a relaxed Sm2IrRu crystal.

Properties
Total DFT energy (no corrections) (eV for the cell shown): -117.02
Formation energy from the elements (eV/atom): -0.43

Unit cell a=6.9685 b=6.9685 c=6.9685 alpha=90.00 beta=90.00 gamma=90.00
Last column: nearest neighbours and their distance in Å.
Space group Fm-3m (No. 225)
One atom of each set of equivalent atoms:
1 Sm 0.2500 0.2500 0.2500 x8  4 Ru 3.02, 4 Ir 3.02
2 Ir 0.0000 0.0000 0.0000 x4  8 Sm 3.02
3 Ru 0.0000 0.0000 0.5000 x4  8 Sm 3.02

* * * * *

[1]
A relaxed structure of CaAl2Si3O13, computed with PBE.

## Properties
E ... -135.0 eV/f.u.
Relative energy among the computed polymorphs ... 70 meV/atom
Calculated formation energy ... -2.47 eV/atom
Magnetization ... 4.00 μB/cell
Symmetry ... No. 9

abc: 9.8638 9.8638 9.4731
angles: 84.72 84.72 140.50
Closest atoms and distances in Å follow each position.
Atoms (fractional coordinates):
Ca: 0.1202 0.9690 0.4478  3 O 2.19-2.43
Ca: 0.9690 0.1202 0.9478  3 O 2.19-2.43
Al: 0.1868 0.6316 0.4062  4 O 1.75-1.78
Al: 0.6316 0.1868 0.9062  4 O 1.75-1.78
Al: 0.3788 0.3181 0.0527  4 O 1.75-1.84
Al: 0.3181 0.3788 0.5527  4 O 1.75-1.84
Si: 0.6589 0.9045 0.4698  4 O 1.58-1.73
Si: 0.9045 0.6589 0.9698  4 O 1.58-1.73
Si: 0.1251 0.3115 0.2754  4 O 1.60-1.66
*/
The records of crystals stop here.
From the Editoranony1921v14-Marchp57
Lest we ForgetMadame Blavatskyy1921v14-Marchp61
Concerning Little DevilsFKy1921v14-Marchp67
From my Scrap-bookFelixy1921v14-Marchp72
Why did Ishvara Create the UniverseFrank Osborney1921v14-Marchp77
Self-Created SpooksA de Ly1921v14-Marchp80
Theosophy in Many Landsanony1921v14-Marchp83
From the Editoranony1921v14-Aprilp85
To the South Indian ConventionBP Wadiay1921v14-Aprilp89
The Stellar ScriptEthel Lyndy1921v14-Aprilp94
Next to the entry, the page also holds records of crystals
Crystalline PrEuZrCrO6 at its relaxed geometry. Source: the Materials Project database, functional GGA+U.

abc: 8.0839 8.0839 8.0839
angles: 90.00 90.00 90.00
Closest atoms and distances in Å follow each position.
Space group F-43m (No. 216)
Asymmetric unit:
Pr 0.0000 0.0000 0.0000 x4  12 O 2.86
Eu 0.0000 0.0000 0.5000 x4  12 O 2.86
Zr 0.2500 0.2500 0.7500 x4  6 O 2.07
Cr 0.2500 0.2500 0.2500 x4  6 O 1.97
O 0.0060 0.2500 0.2500 x24  1 Cr 1.97, 1 Zr 2.07

Calculated values
**DFT formation energy**: -32.384 eV/f.u.
**E**: -8.919 eV/atom
**Corrected total energy (MP2020 scheme)**: -9.531 eV per atom

* * * * *

Computed, not measured: a relaxed structure of Tc3Ni at the PBE-GGA level of DFT.

POSCAR file:
```
Tc3Ni
1.0
5.384 0.000 0.000
-2.692 4.663 0.000
0.000 0.000 4.334
Tc Ni
6 2
Direct
0.166 0.333 0.250 Tc
0.166 0.834 0.250 Tc
0.333 0.166 0.750 Tc
0.667 0.834 0.250 Tc
0.834 0.166 0.750 Tc
0.834 0.667 0.750 Tc
0.333 0.667 0.750 Ni
0.667 0.333 0.250 Ni
```

Values from the calculation:
As for the energy relative to the elements: -0.104 eV per atom.

***

Computed, not measured: a relaxed structure of TcNi at the PBE-GGA level of DFT.

POSCAR file:
```
TcNi
1.0
2.654 0.000 0.000
-1.327 2.299 0.000
0.000 0.000 4.201
Tc Ni
1 1
Direct
0.000 0.000 0.000 Tc
0.333 0.667 0.500 Ni
```

Values from the calculation:
As for the energy relative to the elements: 0.073 eV per atom. Its total moment is 0.01 μB/f.u.

***

Computed, not measured: a relaxed structure of TcNiW at the PBE-GGA level of DFT.

POSCAR file:
```
TcNiW
1.0
0.000 2.918 2.918
2.918 0.000 2.918
2.918 2.918 0.000
Tc Ni W
1 1 1
Direct
0.000 0.000 0.000 Tc
0.500 0.500 0.500 Ni
0.250 0.250 0.250 W
```

Values from the calculation:
As for the energy relative to the elements: 0.655 eV per atom. Its total moment is 0.01 μB/f.u.

***

Computed, not measured: a relaxed structure of Ni3Te2 at the PBE-GGA level of DFT.

POSCAR file:
```
Ni3Te2
1.0
6.103 0.000 0.000
0.000 3.804 0.000
-0.210 0.000 7.534
Ni Te
6 4
Direct
0.006 0.250 0.123 Ni
0.008 0.750 0.371 Ni
0.290 0.750 0.635 Ni
0.710 0.250 0.365 Ni
0.992 0.250 0.629 Ni
0.994 0.750 0.877 Ni
0.281 0.250 0.881 Te
0.287 0.250 0.382 Te
0.713 0.750 0.618 Te
0.719 0.750 0.119 Te
```

Values from the calculation:
As for the energy relative to the elements: -0.344 eV per atom.

***

Computed, not measured: a relaxed structure of NiTe2 at the PBE-GGA level of DFT.

POSCAR file:
```
NiTe2
1.0
6.395 0.000 0.000
0.000 6.395 0.000
0.000 0.000 6.395
Ni Te
4 8
Direct
0.000 0.000 0.000 Ni
0.000 0.500 0.500 Ni
0.500 0.000 0.500 Ni
0.500 0.500 0.000 Ni
0.138 0.638 0.862 Te
0.138 0.862 0.362 Te
0.362 0.138 0.862 Te
0.362 0.362 0.362 Te
0.638 0.638 0.638 Te
0.638 0.862 0.138 Te
0.862 0.138 0.638 Te
0.862 0.362 0.138 Te
```

Values from the calculation:
As for the energy relative to the elements: -0.457 eV per atom.

***

Computed, not measured: a relaxed structure of Ni3Te4 at the PBE-GGA level of DFT.

POSCAR file:
```
Ni3Te4
1.0
6.256 -2.007 0.000
6.256 2.007 0.000
Tackling CausesRadicaly1921v14-Aprilp97
Lest we Forget (3) Some Words on Daily Life (rprnt Lucifer v1 Jan 1888 p344)A Master of Wisdomy1921v14-Aprilp102
From my Scrap-BookFelixy1921v14-Aprilp106
TimL - IndiaSBy1921v14-Aprilp110
TimL - Holland, Chile, Africa, Scotlandanony1921v14-Aprilp111
From the Editoranony1921v14-Mayp113
Theosophy & TruthfulnessMargaret E Cousinsy1921v14-Mayp117
On ServiceBP Wadiay1921v14-Mayp122
A Defence of AstrologyBA Rossy1921v14-Mayp126
illustration (Body language sketches, 2 people in chairs)BA Rossy1921v14-Mayp128
Showing 1451 to 1500 of 2274 entries